So much of it comes back to that I’m not sufficiently sorry, I’m not ashamed. I look at what I am, and by all accounts the thing I am was something I used to feel bad about. That’s just something I’ve been getting over.
I was going to lead with the German version of “Someone has to be Krampus”, but then I remembered this existed and thought it was a better choice for the moment. Where did the shame go though? I remember thinking there was something wrong with me, and I did all the corrective actions back when I believed there was something wrong with me. It appeared for some time that I thought my behavior and attitude were no good.
I put more into correcting my deficiencies than I did into my undergraduate diploma. Once I tamed my desire to attack authority figures, school was easy stuff. Now I’m realizing that was possibly a misstep?
Anyway the point is that I’m nothing with possibilities of becoming something but not much prospects. I’ll always be chasing something, and that something will always be challenging me, and me it. I can run pretty hard at this school thing, but whether it will be there when I reach speed is hard to tell. No other active oppertunity has shown much hope of generating something new and exciting.
I’ll be honest; I need excitement. My career has to move forward if it is to grow, and that’s what has been missing.
Outside of excitement, and maybe being provided for better than I am, it’s just going to be what it’s going to be. The people who are going to make things more expensive, and make it harder to get healthcare and so on, they’ll do it about the same to me if I work or not, because either way I won’t make enough to donate sufficient to a campaign to matter to them. So me working isn’t advancing my material wealth in that sense.
BTW by “working” I mean traditional work at a W2 workplace. I’ll always work, but working for myself isn’t work because it isn’t hard, I enjoy it. The point is that I might be able to get by just fine on my own. The system may be done with me, and I may be done with the system.
What else can I conclude? What I was making at my last job barely covered expenses. Four years out of college and I hadn’t found a way to get to grad school? A year of social work and betrayed by a supervisor, some living. Crooks get ahead and honest folk get the shaft, that seems to be the way in Oklahoma.
**Crystal structures, as found in the file:**
********
(1)
This record from Alexandria describes an optimized crystal structure of DyZn3Ag3. The functional is PBE.

abc: 8.5993 8.5993 8.5993
angles: 60.00 60.00 60.00
Positions (direct):
Dy (0.2500, 0.2500, 0.2500)
Ag (0.6587, 0.3413, 0.3413)
Zn (0.1471, 0.8529, 0.8529)
Zn (0.8529, 0.1471, 0.8529)
Ag (0.3413, 0.6587, 0.3413)
Zn (0.1471, 0.8529, 0.1471)
Ag (0.6587, 0.6587, 0.3413)
Zn (0.8529, 0.8529, 0.1471)
Zn (0.1471, 0.1471, 0.8529)
Dy (0.7500, 0.7500, 0.7500)
Ag (0.3413, 0.6587, 0.6587)
Ag (0.6587, 0.3413, 0.6587)
Zn (0.8529, 0.1471, 0.1471)
Ag (0.3413, 0.3413, 0.6587)

Output
* ΔH_f (0 K): 0.7884 eV per atom

(2)
This record from Alexandria describes an optimized crystal structure of YCuGe. The functional is PBE.

abc: 4.3016 4.3022 8.9536
angles: 61.28 61.28 60.02
Positions (direct):
Y (0.5714, 0.2166, 0.2987)
Ge (0.1047, 0.7498, 0.4987)
Y (0.6381, 0.2832, 0.6986)
Cu (0.8327, 0.4775, 0.9067)
Cu (0.3771, 0.0223, 0.0904)
Ge (0.1048, 0.7498, 0.9987)

Output
* ΔH_f (0 K): -0.5196 eV per atom

(3)
This record from Alexandria describes an optimized crystal structure of Tc2SbPt. The functional is PBE.

abc: 5.8500 5.8500 7.0663
angles: 65.55 65.55 90.00
Positions (direct):
Pt (0.7500, 0.2500, 0.5000)
Tc (0.8750, 0.9043, 0.7500)
Pt (0.0000, 0.0000, 0.0000)
Tc (0.0957, 0.6250, 0.2500)
Tc (0.6543, 0.1250, 0.2500)
Tc (0.3750, 0.3457, 0.7500)
Sb (0.2500, 0.7500, 0.5000)
Sb (0.5000, 0.5000, 0.0000)

Output
* raw total energy: -6.77 eV per atom
********
Maybe, just maybe if I can get out and see another state where these idiots haven’t wrecked the education system there might be hope. That’s my pet theory. I certainly haven’t heard of any other state superintendent of schools planning to put bibles in every classroom……… I mean that’s just silly. They’re already in every hotel room.
Anyway shifting focus away from my broken state and back to my broken self, I need healing. I need to learn to forgive myself, and those around me who treated me as less than, as a second class citizen because I didn’t toe the line hard enough. It wasn’t possible, turns out. I broke myself in half trying to make these people happy, because it put me in the hospital. I had a psychiatric break because I was trying to keep a job is this impossible economy. Manic episode evolved into a psychotic episode. This was all eight years ago, and we’ve all done everything we can to prevent it from ever happening again.
The point is; this is who I am. I realized that sometime after they weened me off the anti psychotics. Well, the more severe ones. How I would love to be off antipsychotics entirely, that’d be a lovely world that was that safe. I don’t get to be anyone else. So I might as well make my peace with the fella. We’ve got a little over 50 years left in this ride, maybe less, but maybe more.
It’s lonely I guess is the thing I’m trying to get around to saying. I haven’t met many others like me. I meet people at the next stage, where life starts working for them. I’m not there yet though. My life doesn’t work. Obviously.